Solaire, Radiant Sun

I’m not staying with it. I haven’t played it in many months. But I plan to go back to it, yes, because I liked some of the Riddler challenges’ puzzle design. I’m a Zelda guy, and there are few games these days that offer interesting environmental puzzles. I found a bunch of them and am hoping that there are more good

Which android phone do you have? The UI of the 6P is neither slow nor is it ugly.

I’m fine with Bernie staying in the race to accumulate votes and show Democrats that there is broad, national support for a progressive agenda. I am not alright with him staying in the race in a desperate bid to win.

Yep, that is just terrible. You know what a good Pokemon game for adults would be?

“A pokemon game for adults!”
*starts in the real world and transports the character to the pokemon world where they’re considered demons*
Okay. Gonna give this a pass.

You know, if you really like a Nintendo-related fan project, don’t post it on Kotaku, because that’s like a hotline to Nintendo’s lawyers ready to push the shutdown button.

“Don’t worry, that’s gonna get nerfed”, I lost it!

The trailer was pure genius, too. I can’t wait to try her tonight.

I assumed it was bigger than usual because she’s pregnant.

Yep, for many reasons. 1) People of all races and ethnicities have large butts. Having a sizable ass is not a cultural trait that can be appropriated because it is a biological trait that is found across diverse populations all over the world. 2) Oakland is not synonymous with black. It’s a very racially diverse

Agree completely. I always get told I have a black girl’s butt, usually by POC.

My rage-o-meter is in the negatives on this one guys. This is a dumb take.

To be honest, this article was almost just this:



Good god, please tell me you know what she is referencing when she says “LA face with an Oakland booty.” Please, please, please. DON’T MAKE ME FEEL OLD.

Shit, I actually typed Overwatch. I MEANT Battleborn. Stupid samey titles.

No he does not. You are thinking of Oscar Mike from Battleborn. Completely different game. Soldier 76 is actually a far more tactical character than most people realize. They see his auto-aim ult and sprinting and immediately assume he requires no skill. Whilst it’s true he requires less than say Tracer, for example,

He’s meant to be a slightly more ‘generic’ character for people who’ve played FPSs like CoD or something, but aren’t yet comfortable with the more exotic classes.

• Next to the article, the page also holds data records:
┌──
Density functional theory data (PBE) for an optimized crystal structure of GdAsO3.

a = 4.4423 Å, b = 12.0604 Å, c = 6.5002 Å
α = 90.00°, β = 120.09°, γ = 90.00°
With the nearest neighbours (Å) after each atom.
Positions (direct):
Gd: 0.1458 0.1451 0.1507  6 O 2.32-2.49
Gd: 0.1458 0.3549 0.6507  6 O 2.32-2.49
Gd: 0.8542 0.6451 0.3493  6 O 2.32-2.49
Gd: 0.8542 0.8549 0.8493  6 O 2.32-2.49
As: 0.2886 0.0676 0.7227  3 O 1.81-1.83
As: 0.2886 0.4324 0.2227  3 O 1.81-1.83
As: 0.7114 0.5676 0.7773  3 O 1.81-1.83
As: 0.7114 0.9324 0.2773  3 O 1.81-1.83
O: 0.0586 0.5501 0.7098  1 As 1.82
O: 0.0586 0.9499 0.2098  1 As 1.82
O: 0.1137 0.1765 0.5017  1 As 1.81
O: 0.1137 0.3235 0.0017  1 As 1.81
O: 0.4526 0.6522 0.5124  1 As 1.83
O: 0.4526 0.8478 0.0124  1 As 1.83
O: 0.5474 0.1522 0.9876  1 As 1.83
O: 0.5474 0.3478 0.4876  1 As 1.83
O: 0.8863 0.6765 0.9983  1 As 1.81
O: 0.8863 0.8235 0.4983  1 As 1.81
O: 0.9414 0.0501 0.7902  1 As 1.82
O: 0.9414 0.4499 0.2902  1 As 1.82

Calculated values
Space group: No. 14
E_form in eV/f.u.: -13.79
Electronic total energy in eV/atom: -9.062

=====

# 1
A plane-wave DFT calculation with PBE with a Hubbard U was carried out for crystalline Li9Mn2Co5O16 at its relaxed geometry. Values from VASP.

Calculated values
Relative energy among the computed polymorphs = 76 meV/atom
Formation energy from the elements = -1.79 eV/atom
Symmetry = P1 (1)
ρ = 4.128 g/cm³
E = -5.779 eV/atom

Geometry as Quantum ESPRESSO input:
```
&SYSTEM
  ibrav = 0, nat = 32, ntyp = 4
/
ATOMIC_SPECIES
Li 6.94 Li.upf
Mn 54.94 Mn.upf
Co 58.93 Co.upf
O 16.00 O.upf
CELL_PARAMETERS angstrom
-1.373 2.657 -0.435
-8.648 -4.673 1.694
3.476 2.943 8.993
ATOMIC_POSITIONS crystal
Li 0.999 0.252 0.258
Li 0.504 0.500 0.747
Li 0.998 0.751 0.250
Li 0.503 0.501 0.253
Li 0.003 0.748 0.750
Li 0.495 0.999 0.255
Li 0.498 0.000 0.746
Li 0.001 0.249 0.743
Li 0.500 0.250 0.500
Mn 0.000 0.997 0.000
Mn 0.495 0.252 0.000
Co 0.000 0.504 0.000
Co 0.500 0.750 0.500
Co 0.001 0.491 0.499
Co 0.505 0.749 0.001
Co 0.999 0.009 0.501
O 0.468 0.125 0.118
O 0.996 0.391 0.615
O 0.512 0.627 0.115
O 0.967 0.379 0.116
O 0.471 0.626 0.614
O 0.973 0.869 0.113
O 0.007 0.879 0.611
O 0.479 0.115 0.614
O 0.523 0.385 0.386
O 0.032 0.628 0.886
O 0.528 0.874 0.387
O 0.993 0.621 0.390
O 0.527 0.871 0.884
O 0.004 0.109 0.385
O 0.028 0.123 0.884
O 0.490 0.376 0.882
```


# 2
A plane-wave DFT calculation with PBE with a Hubbard U was carried out for crystalline CoSbP2O8 at its relaxed geometry. Values from VASP.

Calculated values
Relative energy among the computed polymorphs = 0 meV/atom
Formation energy from the elements = -2.24 eV/atom
Symmetry = P1 (1)
ρ = 3.831 g/cm³
E = -6.780 eV/atom

Geometry as Quantum ESPRESSO input:
```
&SYSTEM
  ibrav = 0, nat = 48, ntyp = 4
/
ATOMIC_SPECIES
Co 58.93 Co.upf
Sb 121.76 Sb.upf
P 30.97 P.upf
O 16.00 O.upf
CELL_PARAMETERS angstrom
4.223 -0.918 2.404
-4.248 -4.522 7.891
0.938 -11.570 -5.888
ATOMIC_POSITIONS crystal
Co 0.416 0.221 0.899
Co 0.589 0.779 0.655
└──

there’s also a “’96" in the first drawing, so I think the article is wrong